**Excerpt:**
Entry 1:
49
Properties=species:S:1:pos:R:3:forces:R:3:mulliken_charge:R:1 method="wB97M-V/def2-TZVPD" e_homo_ev=-0.0623 homo_lumo_gap_ev=4.853 charge=-2
Ca 9.35818 6.46502 7.46176 1.18 -0.20 -0.67 1.527
O 7.22530 3.40827 9.65799 -0.07 0.78 0.25 -0.773
C 7.49453 4.57086 9.37219 -0.03 1.13 -0.90 -0.351
O 8.63045 5.07094 9.02166 -0.48 -0.96 0.92 -0.685
C 6.37914 5.72594 9.33795 -0.22 -2.19 -0.29 0.255
C 6.87692 7.05044 9.86788 0.48 1.33 -0.42 0.079
C 5.66130 7.85977 10.26327 -0.82 1.00 -0.68 -1.007
C 5.04772 8.26331 8.86338 -0.43 -1.14 0.49 -0.856
C 6.09178 7.65045 7.90088 -0.47 -0.11 0.75 0.209
O 7.38164 7.82462 8.61741 -2.01 -1.40 1.16 -0.693
C 5.85523 6.13558 7.88944 -0.15 -0.74 0.17 -0.113
C 6.61721 5.42420 6.71206 0.31 0.86 0.71 -0.074
O 6.34427 4.29636 6.36452 -1.08 -1.05 -0.10 -0.759
O 7.56358 6.13065 6.26128 -0.44 0.73 -0.65 -0.863
H 5.48947 5.27702 9.87369 1.00 0.84 -0.13 0.419
H 7.62520 7.02019 10.67009 0.18 -0.05 -0.70 0.569
H 5.81648 8.75472 10.87816 0.45 -0.22 -0.13 0.294
H 4.98811 7.21528 10.80293 -0.36 -0.17 0.31 0.407
H 5.01030 9.33900 8.69942 -0.24 0.06 0.27 0.379
H 4.01321 7.77070 8.73758 1.51 1.00 -0.05 0.277
H 6.03712 8.15601 6.93750 0.71 -0.27 0.00 0.648
H 4.76898 5.87220 7.92766 0.80 0.30 -0.62 0.394
N 11.36163 5.74187 9.20164 -0.48 -0.36 0.06 -0.297
C 11.89257 6.80256 10.00017 -1.02 -0.60 -1.36 0.365
C 11.75664 6.72638 11.38071 1.12 -0.10 0.33 -0.388
C 12.42980 7.60608 12.21752 -1.08 1.50 -0.46 -0.664
C 12.86825 8.82799 11.64587 0.34 -0.82 1.97 -0.428
C 12.85535 8.95510 10.29300 1.77 0.30 -1.42 -0.937
C 12.46828 7.95021 9.39354 -1.19 -0.17 1.25 0.600
C 12.39749 8.31442 7.96800 2.65 -0.10 -1.64 -0.071
C 13.52387 8.95735 7.39426 -0.42 0.51 -0.71 -0.750
C 13.45916 9.48847 6.08311 0.38 -0.04 0.84 -0.444
C 12.28282 9.40284 5.36542 -1.05 -0.45 0.95 -0.591
C 11.21048 8.66561 5.94132 1.60 0.87 -1.92 -0.289
C 11.35699 7.98803 7.11165 -2.41 -0.31 2.17 0.354
H 12.00531 5.26565 8.58008 -0.11 0.38 -0.17 0.159
H 10.58445 5.09337 9.48387 1.10 1.06 0.32 0.131
H 11.20871 5.89254 11.77335 0.06 -0.48 0.22 0.397
H 12.45513 7.43793 13.28630 -0.13 0.09 0.07 0.344
H 13.23305 9.66604 12.27294 -0.05 -0.75 -0.37 0.319
H 13.45860 9.77735 9.87225 -1.00 0.04 0.05 0.259
H 14.48183 9.10579 7.88724 -0.13 -0.13 0.40 0.359
H 14.34307 10.01242 5.71007 -0.24 -0.16 -0.10 0.295
H 12.12968 9.88539 4.42131 0.19 0.26 -0.53 0.358
H 10.31092 8.56728 5.33212 -0.01 -0.15 -0.03 0.305
Cl 11.38944 3.64885 6.02736 1.32 -1.45 0.75 -0.384
C 10.22627 4.87081 5.51178 0.19 2.03 -0.82 -0.656
H 9.33258 4.32019 5.21806 0.07 0.07 -0.40 0.223
H 10.79504 5.34610 4.62848 -1.29 -0.56 0.87 0.145

***

Entry 2:
55
Properties=species:S:1:pos:R:3:forces:R:3:mulliken_charge:R:1 method="wB97M-V/def2-TZVPD" e_homo_ev="-1.8456 / -1.7540" homo_lumo_gap_ev="5.590 / 6.263" charge=-2 e_above_lowest_kj_mol=371.3 spin_multiplicity=2
Ru -0.42598 1.43255 -0.08037 -0.11 0.07 -0.47 0.307
O -0.33958 0.24775 5.40083 0.10 0.06 0.09 -0.702
C -0.36898 0.21185 4.19203 -0.64 -0.66 0.61 -0.121
O 0.30522 1.04845 3.45533 0.37 0.23 -0.62 -0.291
C -1.23478 -0.82295 3.49043 0.10 0.12 0.24 0.255
C -2.39358 -0.17455 2.69103 -0.42 0.06 0.89 -0.206
C -3.52498 -1.21075 2.58603 -0.06 0.21 -0.03 -0.919
C -2.88228 -2.22695 1.62233 0.05 0.06 -0.22 -1.005
C -1.57058 -1.50295 1.25153 0.25 -1.00 -0.19 -0.033
O -1.92788 -0.13465 1.36313 0.32 0.50 -0.59 0.364
C -0.55448 -1.66525 2.38663 0.54 0.19 -0.48 0.512
C 0.85752 -1.12135 1.97843 -0.75 -0.64 0.88 -0.533
O 1.80102 -1.41795 2.69503 0.20 -0.14 0.12 -0.789
O 0.89782 -0.43925 0.91213 -0.52 1.65 -0.57 0.090
H -1.62888 -1.45645 4.29173 0.04 0.16 -0.15 0.471
H -2.69818 0.81865 3.02333 0.08 -0.03 -0.07 0.573
H -4.39818 -0.74005 2.13603 -0.05 0.00 -0.02 0.349
H -3.81368 -1.63615 3.54543 0.05 0.03 0.08 0.376
H -3.49658 -2.37885 0.73573 -0.01 -0.05 0.01 0.382
H -2.68748 -3.19055 2.09183 0.02 -0.04 -0.04 0.337
H -1.17998 -1.71635 0.25663 -0.09 0.08 0.13 0.244
H -0.41178 -2.70145 2.70003 -0.06 0.09 -0.05 0.394
S -2.83638 1.41465 -0.88947 1.91 0.03 0.86 -0.457
**Brief:**
Start at the top of the calculation results above and repeat each line, ending with the one that has "4.42131 0.19".
**Done:**
Entry 1:
49
Properties=species:S:1:pos:R:3:forces:R:3:mulliken_charge:R:1 method="wB97M-V/def2-TZVPD" e_homo_ev=-0.0623 homo_lumo_gap_ev=4.853 charge=-2
Ca 9.35818 6.46502 7.46176 1.18 -0.20 -0.67 1.527
O 7.22530 3.40827 9.65799 -0.07 0.78 0.25 -0.773
C 7.49453 4.57086 9.37219 -0.03 1.13 -0.90 -0.351
O 8.63045 5.07094 9.02166 -0.48 -0.96 0.92 -0.685
C 6.37914 5.72594 9.33795 -0.22 -2.19 -0.29 0.255
C 6.87692 7.05044 9.86788 0.48 1.33 -0.42 0.079
C 5.66130 7.85977 10.26327 -0.82 1.00 -0.68 -1.007
C 5.04772 8.26331 8.86338 -0.43 -1.14 0.49 -0.856
C 6.09178 7.65045 7.90088 -0.47 -0.11 0.75 0.209
O 7.38164 7.82462 8.61741 -2.01 -1.40 1.16 -0.693
C 5.85523 6.13558 7.88944 -0.15 -0.74 0.17 -0.113
C 6.61721 5.42420 6.71206 0.31 0.86 0.71 -0.074
O 6.34427 4.29636 6.36452 -1.08 -1.05 -0.10 -0.759
O 7.56358 6.13065 6.26128 -0.44 0.73 -0.65 -0.863
H 5.48947 5.27702 9.87369 1.00 0.84 -0.13 0.419
H 7.62520 7.02019 10.67009 0.18 -0.05 -0.70 0.569
H 5.81648 8.75472 10.87816 0.45 -0.22 -0.13 0.294
H 4.98811 7.21528 10.80293 -0.36 -0.17 0.31 0.407
H 5.01030 9.33900 8.69942 -0.24 0.06 0.27 0.379
H 4.01321 7.77070 8.73758 1.51 1.00 -0.05 0.277
H 6.03712 8.15601 6.93750 0.71 -0.27 0.00 0.648
H 4.76898 5.87220 7.92766 0.80 0.30 -0.62 0.394
N 11.36163 5.74187 9.20164 -0.48 -0.36 0.06 -0.297
C 11.89257 6.80256 10.00017 -1.02 -0.60 -1.36 0.365
C 11.75664 6.72638 11.38071 1.12 -0.10 0.33 -0.388
C 12.42980 7.60608 12.21752 -1.08 1.50 -0.46 -0.664
C 12.86825 8.82799 11.64587 0.34 -0.82 1.97 -0.428
C 12.85535 8.95510 10.29300 1.77 0.30 -1.42 -0.937
C 12.46828 7.95021 9.39354 -1.19 -0.17 1.25 0.600
C 12.39749 8.31442 7.96800 2.65 -0.10 -1.64 -0.071
C 13.52387 8.95735 7.39426 -0.42 0.51 -0.71 -0.750
C 13.45916 9.48847 6.08311 0.38 -0.04 0.84 -0.444
C 12.28282 9.40284 5.36542 -1.05 -0.45 0.95 -0.591
C 11.21048 8.66561 5.94132 1.60 0.87 -1.92 -0.289
C 11.35699 7.98803 7.11165 -2.41 -0.31 2.17 0.354
H 12.00531 5.26565 8.58008 -0.11 0.38 -0.17 0.159
H 10.58445 5.09337 9.48387 1.10 1.06 0.32 0.131
H 11.20871 5.89254 11.77335 0.06 -0.48 0.22 0.397
H 12.45513 7.43793 13.28630 -0.13 0.09 0.07 0.344
H 13.23305 9.66604 12.27294 -0.05 -0.75 -0.37 0.319
H 13.45860 9.77735 9.87225 -1.00 0.04 0.05 0.259
H 14.48183 9.10579 7.88724 -0.13 -0.13 0.40 0.359
H 14.34307 10.01242 5.71007 -0.24 -0.16 -0.10 0.295
H 12.12968 9.88539 4.42131 0.19 0.26 -0.53 0.358